(Job)
Now count the lines further below that contain the word "Each" and give the number alone.

(Material)
........
Computed, not measured: a cluster of 2 separate species, C4H8N3O2 in total at a distorted geometry, with ωB97M-V/def2-TZVPD.

Properties
highest occupied orbital energy: -13.39 eV
orbital gap: 9.38 eV
net charge: +1
LUMO energy: -4.02 eV
calculated total energy: -12830.751 eV
strongest force on any atom: 3.1 eV Å⁻¹

Each atom is followed by the atoms it is bonded to, with distances in Å.
Element x y z (Å)
1 C 1.67 -1.08 2.20  C2 1.413, N6 1.332, H10 1.054
2 C 1.01 -0.29 1.23  C1 1.413, N5 1.173
3 C -0.55 0.54 -2.50  C4 1.468, N7 1.468, H11 1.033, H12 1.046
4 C -0.68 2.00 -2.47  C3 1.468, N7 1.440, H13 1.101, H14 1.137
5 N 0.43 0.58 0.70  C2 1.173
6 N 0.92 -1.92 2.90  C1 1.332, O8 1.341, O9 1.202
7 N -1.17 1.23 -1.36  C3 1.468, C4 1.440, H15 1.168, H16 1.039
8 O -0.39 -2.01 2.64  N6 1.341, H17 0.923
9 O 1.36 -2.59 3.80  N6 1.202
10 H 2.73 -1.03 2.21  C1 1.054
11 H -1.12 0.06 -3.21  C3 1.033
12 H 0.34 0.14 -2.12  C3 1.046
13 H 0.21 2.62 -2.25  C4 1.101
14 H -1.53 2.53 -3.00  C4 1.137
15 H -0.45 1.11 -0.45  N7 1.168
16 H -2.14 0.88 -1.46  N7 1.039
17 H -0.62 -2.75 3.13  O8 0.923



Computed, not measured: the ion C4H8N3O2 with charge +1 at a distorted geometry, with ωB97M-V/def2-TZVPD.

Properties
highest occupied orbital energy: -13.54 eV
structure (SMILES): NC(=[NH2+])/C=C\NC(=O)O
orbital gap: 9.49 eV
net charge: +1
LUMO energy: -4.05 eV
calculated total energy: -12836.555 eV
strongest force on any atom: 4.7 eV Å⁻¹

Each atom is followed by the atoms it is bonded to, with distances in Å.
Element x y z (Å)
1 N 0.73 0.87 1.03  C2 1.370, H10 0.976, H11 0.954
2 C 1.45 0.18 0.10  N1 1.370, N3 1.335, C4 1.510
3 N 2.34 0.85 -0.63  C2 1.335, H12 1.012, H13 1.006
4 C 1.02 -1.25 -0.13  C2 1.510, C5 1.367, H14 1.141
5 C -0.27 -1.70 -0.13  C4 1.367, N6 1.369, H15 1.121
6 N -1.42 -0.97 0.02  C5 1.369, C7 1.419, H16 1.010
7 C -1.73 0.38 -0.29  N6 1.419, O8 1.154, O9 1.337
8 O -1.06 1.23 -0.69  C7 1.154
9 O -2.98 0.55 0.15  C7 1.337, H17 1.071
10 H 0.73 1.85 1.06  N1 0.976
11 H 0.26 0.40 1.71  N1 0.954
12 H 2.77 0.37 -1.41  N3 1.012
13 H 2.28 1.86 -0.64  N3 1.006
14 H 1.82 -2.00 -0.47  C4 1.141
15 H -0.28 -2.82 -0.07  C5 1.121
16 H -2.33 -1.36 0.23  N6 1.010
17 H -3.34 1.56 0.16  O9 1.071



Computed, not measured: the ion C4H8N3O3S with charge +1 at a distorted geometry, with ωB97M-V/def2-TZVPD.

Properties
multiplicity: 3
highest occupied orbital energy (spin up / spin down): -10.28 / -13.77 eV
orbital gap (spin up / spin down): 6.27 / 4.89 eV
net charge: +1
LUMO energy (spin up / spin down): -4.01 / -8.88 eV
expectation value of S²: 2.024
calculated total energy: -25708.767 eV
strongest force on any atom: 4.7 eV Å⁻¹

Each atom is followed by the atoms it is bonded to, with distances in Å.
Element x y z (Å)
1 C 0.08 -0.86 -0.71  C2 1.479, C3 1.451, O9 1.392, H12 1.180
2 C 1.05 0.06 -1.33  C1 1.479, N5 1.277, H13 1.001
3 C 0.58 -0.94 0.66  C1 1.451, N6 1.303, H14 1.164
4 C 2.58 -0.10 1.82  N6 1.431, H15 1.005, H16 1.023, H17 0.987
5 N 2.06 0.17 -0.56  C2 1.277, N6 1.383
6 N 1.76 -0.37 0.68  C3 1.303, C4 1.431, N5 1.383
7 N -2.75 1.25 -0.66  O10 1.369, S11 1.631, H18 1.003
8 O -1.72 0.10 1.17  S11 1.411
9 O -1.26 -0.94 -1.06  C1 1.392, S11 1.834
10 O -3.61 1.12 -1.71  N7 1.369, H19 0.985
11 S -2.53 -0.20 0.05  N7 1.631, O8 1.411, O9 1.834
12 H 0.31 -1.88 -1.25  C1 1.180
13 H 1.10 0.48 -2.24  C2 1.001
14 H 0.06 -1.50 1.53  C3 1.164
15 H 2.06 0.31 2.57  C4 1.005
16 H 2.88 -0.92 2.34  C4 1.023
17 H 3.34 0.50 1.61  C4 0.987
18 H -2.70 2.20 -0.33  N7 1.003
19 H -3.30 1.52 -2.57  O10 0.985



Computed, not measured: a cluster of 2 separate species, C4H8N3O4P in total at a distorted geometry, with ωB97M-V/def2-TZVPD.

Properties
highest occupied orbital energy: -8.11 eV
structure (SMILES): [O-][n+]1cnc[nH]1.C=CO[P@@H](=O)O
orbital gap: 8.92 eV
LUMO energy: 0.82 eV
calculated total energy: -26225.381 eV
strongest force on any atom: 2.6 eV Å⁻¹

Each atom is followed by the atoms it is bonded to, with distances in Å.
Element x y z (Å)
........

(Done)
4